Real Cost of a College Education (Part 1)

According to the policy think-tank the American Enterprise Institute (AEI), low-income families have a tendency to overestimate the cost of college. By overestimating cost of college, some of these families make the decision not to send their children to college at all. Other families advise their children to “aim low,” avoiding colleges and universities that are perceived as expensive and sticking instead to trade schools and community colleges.

“Sticker Price” Not Real Cost of College

According to AEI, part of the problem is the “sticker shock” with the cost of college. Take Stanford University, one of the most highly respected universities in the nation, and compare its sticker price to the nearby Cal State Long Beach. If you judge the price of these two universities by the sticker price alone, it would be easy to understand why some people would choose to avoid Stanford based solely upon cost. Stanford estimates that the cost of college for one year, including tuition, books, housing, food, etc., will cost each student a grand total of almost $56,000. By comparison, Cal State Long Beach estimates one year’s cost of college to be around $21,000. Even though the second school is closer to affordable, many low-income families might still feel that $21,000 is still completely out-of-reach.

However, when the average aid package, including the grants, scholarships and federal loans for low-income families, is taken into account, the one year cost of college at Stanford drops to about $4,500 and one year at Cal State Long Beach drops to $3,600. While the cost of college at the public university, Long Beach, seems much more reasonable, the average full-time male student there only has a 51 percent chance of graduating. At Stanford, 93 percent of its full-time male students graduate. Furthermore, due to its prestige, it’s reasonable to guess that graduates of Stanford will probably have an easier time being employed quickly at a good, high-paying job right out of school than the Long Beach students. For an extra $1,000 per year, that seems like a pretty good deal.

In 2010, the research firm Polimetrix did a survey to find out if parents understand that the “sticker price” cost of college is not the final price they will actually pay. While the majority of parents surveyed had at least some notion that the prices provided by schools were higher than what they would pay after aid packages were provided, parents in the lowest income bracket were the least likely to understand this concept.

What all this means is that many children of low-income families may believe that college is not a realistic option for them. Not bothering to even apply to a university, they may find themselves stuck in low-earning jobs that require only a high school diploma for years before they eventually make an effort to further their education.

What About the Student Debt Crisis?

Even when low-income and middle-class families understand that most traditional students will not pay the full-price cost of college for a typical four-year degree, they still worry about saddling young people with an incredible burden of debt.

For example, the website And Then We Saved features the story of Jeena Cho, a resident of Northern California who owed more than $100,000 in student loans after she graduated from law school. Paying the minimum payment on this debt each month, stretched over 25 years, would mean that Cho would eventually pay close to a quarter of a million dollars when interest was taken account.

Cho’s story has a happy ending; she and her new husband have started attacking their student loan debt through student loan consolidation and have already paid off $50,000 in the last two years. For many other graduates, however, the ending isn’t so happy. For as many stories as there are of people paying off their student loan debts, there are plenty of horror stories of people who go bankrupt due to student loans.

Thanks to the media and the nature of the problem, most people’s fears regarding student loans are almost definitely exaggerated. To start with, huge mountains of student loan debt like Cho’s are really quite rare. Consider these statistics, recently provided by

  • 5.9 percent of all graduates carry debt loads between $50k and $75k
  • 4.2 percent of all graduates carry debts between $75k and $150k
  • Only 1.2 percent of graduates have more than $150k in student loan debt
  • More than 40 percent of student loan debt ranges between $1k and $10k

Attached: calculated crystals >
........
For Cs7Na, a DFT-relaxed cell (PBE, Alexandria) gives the computed powder diffraction line list in this record (Cu Kα X-rays).
Intensities are scaled so that the largest is 100.

The 10 most intense peaks (10 to 90 degrees two-theta), in order of rising 2θ:
- 2θ = 19.49°, 4.554 Å, intensity 8
- 2θ = 21.26°, 4.179 Å, intensity 100
- 2θ = 30.24°, 2.955 Å, intensity 19
- 2θ = 37.26°, 2.413 Å, intensity 28
- 2θ = 37.31°, 2.410 Å, intensity 12
- 2θ = 39.37°, 2.289 Å, intensity 8
- 2θ = 43.35°, 2.087 Å, intensity 8
- 2θ = 48.73°, 1.869 Å, intensity 16
- 2θ = 58.47°, 1.578 Å, intensity 16
- 2θ = 67.26°, 1.392 Å, intensity 6

Cell lengths 14.5058, 14.5058, 14.5058 Å; angles 33.45, 33.45, 33.45 degrees
Sites, in units of the cell vectors:
Cs 0.0000 0.0000 0.0000
Cs 0.1329 0.1329 0.1329
Cs 0.2536 0.2536 0.2536
Cs 0.3867 0.3867 0.3867
Cs 0.6133 0.6133 0.6133
Cs 0.7464 0.7464 0.7464
Cs 0.8671 0.8671 0.8671
Na 0.5000 0.5000 0.5000



For Cs13Na2, a DFT-relaxed cell (PBE, Alexandria) gives the computed powder diffraction line list in this record (Cu Kα X-rays).
Intensities are scaled so that the largest is 100.

The 10 most intense peaks (10 to 90 degrees two-theta), in order of rising 2θ:
- 2θ = 18.30°, 4.847 Å, intensity 48
- 2θ = 18.97°, 4.678 Å, intensity 31
- 2θ = 19.75°, 4.495 Å, intensity 56
- 2θ = 20.00°, 4.440 Å, intensity 89
- 2θ = 20.50°, 4.333 Å, intensity 100
- 2θ = 20.66°, 4.299 Å, intensity 41
- 2θ = 22.34°, 3.980 Å, intensity 69
- 2θ = 22.41°, 3.967 Å, intensity 49
- 2θ = 23.48°, 3.789 Å, intensity 51
- 2θ = 35.76°, 2.511 Å, intensity 35

Cell lengths 10.3166, 12.2840, 13.9261 Å; angles 65.36, 88.99, 78.78 degrees
Sites, in units of the cell vectors:
Cs 0.0000 0.0000 0.0000
Cs 0.0436 0.5545 0.6525
Cs 0.1757 0.0131 0.6445
Cs 0.2369 0.5886 0.0031
Cs 0.2892 0.1049 0.2479
Cs 0.4314 0.2222 0.8578
Cs 0.4838 0.3427 0.4262
Cs 0.5162 0.6573 0.5738
Cs 0.5686 0.7778 0.1422
Cs 0.7108 0.8951 0.7521
Cs 0.7631 0.4114 0.9969
Cs 0.8243 0.9869 0.3555
Cs 0.9564 0.4455 0.3475
Na 0.1976 0.7233 0.3177
Na 0.8024 0.2767 0.6823



For Cs15Na, a DFT-relaxed cell (PBE, Alexandria) gives the computed powder diffraction line list in this record (Cu Kα X-rays).
Intensities are scaled so that the largest is 100.

The 10 most intense peaks (10 to 90 degrees two-theta), in order of rising 2θ:
- 2θ = 18.91°, 4.692 Å, intensity 23
- 2θ = 20.46°, 4.341 Å, intensity 24
- 2θ = 21.53°, 4.128 Å, intensity 100
- 2θ = 28.00°, 3.186 Å, intensity 17
- 2θ = 33.07°, 2.709 Å, intensity 22
- 2θ = 36.48°, 2.463 Å, intensity 23
- 2θ = 39.20°, 2.298 Å, intensity 26
- 2θ = 39.80°, 2.265 Å, intensity 20
- 2θ = 52.68°, 1.738 Å, intensity 17
- 2θ = 61.31°, 1.512 Å, intensity 10

Cell lengths 10.8361, 10.8361, 17.3628 Å; angles 90.00, 90.00, 120.00 degrees
Sites, in units of the cell vectors:
Cs 0.0000 0.0000 0.0000
Cs 0.0059 0.5030 0.5000
Cs 0.3241 0.1620 0.2646
Cs 0.3241 0.1620 0.7354
Cs 0.3333 0.6667 0.2430
Cs 0.3333 0.6667 0.7570
Cs 0.4970 0.5030 0.5000
Cs 0.4970 0.9941 0.5000
........
Back to the entry >

In other words, if you go to college as a person from a low-income to middle-income family, will you graduate with student loan debt? The answer is probably “yes.” Will that debt be as terrible as you’ve been led to believe? The answer is probably “no.”

Next: Plan to Deal Swiftly with the Debt You Owe

Even if you don’t graduate from college with as much student loan debt as the horror stories have led you to believe you will, paying off student loan debt quickly still requires that you have a plan in place, preferably before you graduate. After all, even $8,000 of debt is nothing to brush off, especially not when you’re a brand new graduate just establishing your career. In the next post, therefore, we’ll take a look at some strategies for thinking about educational paths, career paths and ways to pay off student loan debt swiftly.